Stomach pain and gas

Introduction / definition

stomach pain and Flatulence are not diseases in their own right, but rather are two physical symptoms that others deal with Basic diseases of the gastrointestinal tract express. They can occur individually or simultaneously, the causes can be very diverse. Often, however, flatulence and stomach pain are caused by wrong nutrition or stressso that they are usually harmless and only last a short time. However, if they make themselves felt permanently or repeatedly and are accompanied by other complaints at the same time, both symptoms can also have organic causes that should be clarified by a doctor.

Learn more about the topic: Upper abdominal pain and gas


The causes of stomach pain can on the one hand be organic and arise from diseases of the stomach itself (Inflammation of the gastric mucosa / gastritis, Gastric ulcer / gastric ulcer, Stomach tumors), but it is also possible that certain diets and stress (Abdominal pain from stress, stomach pain from stress), Express fears, depression or nervousness symptomatically in the form of stomach pain.

Diseases of organs outside the gastrointestinal tract can also trigger apparent stomach pain (e.g. Heart attack). Flatulence can also be caused in many ways, so play Food intolerance, an increased intake of Fiber, Legumes, or cabbage, and the excessive air swallowing caused by hasty eating often play a role. Excessive consumption of coffee and alcohol as well as psychological stressful situations (fear, nervousness, stress) or even organic intestinal diseases (intestinal infection by bacteria or fungi, taking medication, inflammatory bowel disease) can lead to flatulence.

If stomach pain occurs together with increased flatulence, this speaks in many cases for food intolerance, such as Milk- or Fructose, histamine or gluten. Also Food poisoning or Gastrointestinal infections, bacteria, viruses or fungi ingested through food can trigger both symptoms at the same time. Excessive psychological stress such as stress or anxiety cause it in some cases Irritation syndromes in the stomach and intestines, which are caused by increased intrinsic movement in the gastrointestinal muscles.


Stomach pain and bloating can occur both separately and at the same time.

The doctor can usually determine whether a patient suffers from stomach pain and / or flatulence based on the anamnesis. Frequent questions that are asked during a visit to the doctor are about regular medication, basic / previous illnesses of the gastrointestinal system, diet in everyday life, increased stress and other symptoms. In the physical exam tenderness may occur when palpating the abdomen. In most cases, further examinations, such as food intolerance (e.g. Lactose tolerance test), Blood and stool tests in order to make a possible diagnosis and to forego more complex examination methods. However, if these tests and examinations are inconclusive, a ultrasonic or X-ray examination of the abdomen, as well as one Stomach- and or Colonoscopy with eventual Tissue sampling continue.


Stomach pain is usually localized in the left or middle upper abdomen, although the pain sensation does not always have to be the same: In addition to stabbing symptoms, stomach pain can also develop convulsive, boring, burning and sharp to the touch. Often, patients with stomach pain are also accompanied by other symptoms of the gastrointestinal tract, so that a simultaneous presence of nausea, Vomit, Diarrhea or constipation and Flatulence is quite possible. Flatulence (=Intestinal winds; Flatulence; Meteorism) often correlate with the feeling of a strongly inflated or bulging abdomen and the increased discharge of winds through the anus. They can be accompanied by cramp-like, oppressive abdominal pain whenever the intestinal gases are stuck in the digestive system.

Stomach pain and gas with diarrhea

There are many different clinical pictures that cause stomach pain, flatulence and diarrhea at the same time. Some are dangerous in the long term, others are completely harmless. The most common causes include simple gastrointestinal infections. They are usually caused by viruses, start suddenly and go away after a few days. In order to accelerate the healing of such gastrointestinal infections, only a small amount of solid food should be consumed until the diarrhea improves significantly. In particular "light food" is well tolerated. These include, for example, cooked carrots and potatoes, rice and pretzels.
It is important to drink a lot during diarrhea to compensate for the loss of fluid. In the case of severe diarrhea, an electrolyte solution can also be taken to stabilize the salt balance.

If the stomach pain is in the foreground, an inflammation of the pancreas can also be the cause of the complaints. This manifests itself particularly in pain in the stomach, flanks and back.

If the symptoms have existed for a long time, a food intolerance or allergy can be the cause of the symptoms. To find out whether and which food is causing the symptoms, a diary can be kept of the dishes eaten and the occurrence of the symptoms.

Irritable bowel syndrome can also cause gas, abdominal pain and diarrhea at the same time. While no physical cause for the symptoms can be determined in IBS, the disease is very stressful for many in the long term.

If stomach pain has been in the foreground for a long time, an inflammation of the stomach lining can cause the symptoms. In order to be able to initiate the correct therapy and to prevent consequential damage from such gastric mucosal inflammation, a doctor should be consulted.

(Inserted here: calculated crystals)
Record 1
The following is a DFT calculation (PBE-GGA) of a relaxed Hg2C3I7N9 crystal.

Computed properties:
Electronic total energy (eV/cell): -390.79

Lattice parameters (Å, degrees): 12.099 12.781 17.631 90.00 103.67 90.00
Space group C2/c (No. 15)
Asymmetric unit:
Hg1 0.081 0.017 0.367 x8
C1 0.000 0.424 0.750 x4
C2 0.159 0.410 0.948 x8
I1 0.000 0.174 0.250 x4
I2 0.079 0.165 0.483 x8
I3 0.147 0.128 0.653 x8
I4 0.210 0.140 0.825 x8
N1 0.000 0.469 0.250 x4
N2 0.040 0.432 0.592 x8
N3 0.058 0.456 0.920 x8
N4 0.108 0.402 0.759 x8
N5 0.245 0.106 0.021 x8

Record 2
The following is a DFT calculation (PBE-GGA) of a relaxed Ca4Ir crystal.

Computed properties:
Electronic total energy (eV/cell): -129.63

Lattice parameters (Å, degrees): 11.635 11.635 11.635 90.00 90.00 90.00
Space group Fd-3m (No. 227, origin choice 2)
Asymmetric unit:
Ca1 0.005 0.005 0.245 x32
Ir1 0.125 0.125 0.625 x8

Record 3
The following is a DFT calculation (PBE-GGA) of a relaxed K3AlI6 crystal.

Computed properties:
Electronic total energy (eV/cell): -106.71

Lattice parameters (Å, degrees): 12.224 12.224 12.224 90.00 90.00 90.00
Space group Fm-3m (No. 225)
Asymmetric unit:
K1 0.000 0.000 0.000 x4
K2 0.250 0.250 0.250 x8
Al1 0.000 0.000 0.500 x4
I1 0.000 0.000 0.273 x24

Record 4
The following is a DFT calculation (PBE-GGA) of a relaxed NpP4S12 crystal.

Computed properties:
Electronic total energy (eV/cell): -363.46

Lattice parameters (Å, degrees): 13.245 13.245 9.876 90.00 90.00 90.00
Space group I4_1/a (No. 88, origin choice 2)
Asymmetric unit:
Np1 0.000 0.250 0.125 x4
P1 0.006 0.066 0.381 x16
S1 0.064 0.420 0.574 x16
S2 0.083 0.366 0.905 x16
S3 0.091 0.428 0.226 x16

Record 5
The following is a DFT calculation (PBE-GGA) of a relaxed K2Ti6O13 crystal.

Computed properties:
Electronic total energy (eV/cell): -350.65

Lattice parameters (Å, degrees): 15.824 3.820 9.236 90.00 100.08 90.00
Space group C2/m (No. 12)
Asymmetric unit:
K1 0.044 0.000 0.251 x4
Ti1 0.115 0.500 0.596 x4
Ti2 0.172 0.500 0.937 x4
Ti3 0.232 0.500 0.276 x4
O1 0.000 0.500 0.500 x2
O2 0.079 0.500 0.790 x4
O3 0.135 0.500 0.115 x4
O4 0.142 0.000 0.612 x4
O5 0.166 0.500 0.414 x4
O6 0.203 0.000 0.929 x4
O7 0.239 0.500 0.740 x4

Record 6
The following is a DFT calculation (PBE-GGA) of a relaxed VS2 crystal.

Computed properties:
Electronic total energy (eV/cell): -18.21

Lattice parameters (Å, degrees): 2.885 3.490 28.150 90.00 90.00 90.00
Space group Pmmm (No. 47)
Asymmetric unit:
V1 0.000 0.000 0.000 x1
S1 0.500 0.000 0.061 x2

Record 7
The following is a DFT calculation (PBE-GGA) of a relaxed F crystal.

Computed properties:
Energy relative to the lowest polymorph listed for this composition (eV per atom): 0.012

Lattice parameters (Å, degrees): 5.503 3.281 7.255 90.00 102.22 90.00
Space group C2/m (No. 12)
Asymmetric unit:
F1 0.005 0.000 0.099 x4
F2 0.050 0.500 0.599 x4

Record 8
The following is a DFT calculation (PBE-GGA) of a relaxed Rb2ScHgI6 crystal.

Computed properties:

Read more about this under: Stomach cramps with diarrhea and Diarrhea and stomach pain

Stomach pain and gas with belching

The belching of air can be an indication that either a lot related to stomach pain and gas Air swallowed while eating will or that much gas is formed in the gastrointestinal tract.
Causes for this can be Sedentary lifestyle, malnutrition or eating too fast. If the belching is acidic and causes pain such as heartburn, the symptoms may indicate inflammation of the esophagus. Most often this is caused by excessive acid reflux from the stomach.

Possible treatment strategies for such a reflux disease are taking those prescribed very often today Acid blockers or changing eating habits - eating behavior almost always plays a major role in the development of heartburn: less fatty foods and more frequent small dishes can already reduce the symptoms. After eating, the body position should be held upright for about 30 minutes. Very sweet, spicy, or acidic foods can also make the symptoms worse.

Stomach pain and gas with bloating

Feeling of fullness occurs in combination with stomach pain and flatulence, especially in 3 clinical pictures: the Inflammation of the stomach lining, the Gastric ulcer and the Irritable bowel syndrome. All of these illnesses should be clarified and treated by a doctor in order to prevent serious secondary illnesses or psychological stress.
A gastrointestinal infection or malnutrition can also cause a feeling of fullness, stomach pain and gas.

If the symptoms only last a few days, you can usually do without a doctor's visit. However, if they recur or last a long time, a doctor should be consulted.

/*
Material: VFeO4
Method: DFT, PBE+U
State: relaxed

Properties
The space-group type is P-1. For the calculated volume, the calculation gives 13.22 Å³/atom. The value obtained for the energy of formation is -2.06 eV per atom.

a = 6.7794 Å, b = 8.0937 Å, c = 9.3932 Å
α = 96.43°, β = 106.57°, γ = 101.56°
Element x y z (fractional)
V: 0.0058 0.9986 0.2622
V: 0.9942 0.0014 0.7378
V: 0.1989 0.5982 0.3498
V: 0.8011 0.4018 0.6502
V: 0.5246 0.3057 0.1283
V: 0.4754 0.6943 0.8717
Fe: 0.7517 0.7007 0.4083
Fe: 0.2483 0.2993 0.5917
Fe: 0.4641 0.8883 0.2133
Fe: 0.5359 0.1117 0.7867
Fe: 0.9711 0.3065 0.0109
Fe: 0.0289 0.6935 0.9891
O: 0.6496 0.4936 0.2531
O: 0.3504 0.5064 0.7469
O: 0.2565 0.4333 0.4361
O: 0.7435 0.5667 0.5639
O: 0.0482 0.6986 0.4300
O: 0.9518 0.3014 0.5700
O: 0.1606 0.0968 0.4381
O: 0.8394 0.9032 0.5619
O: 0.4540 0.7376 0.3651
O: 0.5460 0.2624 0.6349
O: 0.7598 0.8623 0.2663
O: 0.2402 0.1377 0.7337
O: 0.5286 0.1285 0.2181
O: 0.4714 0.8715 0.7819
O: 0.1515 0.8761 0.1788
O: 0.8485 0.1239 0.8212
O: 0.3541 0.7265 0.0198
O: 0.6459 0.2735 0.9802
O: 0.2650 0.3006 0.0373
O: 0.7350 0.6994 0.9627
O: 0.9487 0.1481 0.1557
O: 0.0513 0.8519 0.8443
O: 0.0565 0.5277 0.1511
O: 0.9435 0.4723 0.8489

~~~~~

(1)
Entry from the Materials Project: a geometry-optimized AgMo3Se3 structure (PBE-GGA).

Lattice parameters (Å, degrees): 4.5313 8.4215 8.4241 120.01 90.00 90.00
Atoms (fractional coordinates):
Ag: 0.7500 0.3334 0.6667
Ag: 0.2500 0.6666 0.3333
Mo: 0.7500 0.0514 0.8473
Mo: 0.7500 0.1528 0.2042
Mo: 0.7500 0.7958 0.9485
Mo: 0.2500 0.9486 0.1527
Mo: 0.2500 0.8472 0.7958
Mo: 0.2500 0.2042 0.0515
Se: 0.7500 0.6966 0.6013
Se: 0.7500 0.3988 0.0954
Se: 0.7500 0.9046 0.3033
Se: 0.2500 0.3034 0.3987
Se: 0.2500 0.6012 0.9046
Se: 0.2500 0.0954 0.6967

Calculated values
SG: P6_3/m (176)
Energy of formation: -519 meV per atom
Corrected total energy (MP2020 scheme): -7.0698 eV/atom



(2)
Entry from the Materials Project: a geometry-optimized AgTe6Mo6 structure (PBE-GGA).

Lattice parameters (Å, degrees): 9.5473 9.5473 9.6998 59.64 59.64 27.97
Atoms (fractional coordinates):
Ag: 0.0000 0.0000 0.0000
Te: 0.1218 0.1218 0.3885
Te: 0.5442 0.5442 0.1626
Te: 0.4558 0.4558 0.8374
Te: 0.8221 0.8221 0.2475
Te: 0.1779 0.1779 0.7525
Te: 0.8782 0.8782 0.6115
Mo: 0.7142 0.7142 0.8880
Mo: 0.2858 0.2858 0.1120
Mo: 0.8460 0.8460 0.9302
Mo: 0.1540 0.1540 0.0698
Mo: 0.6890 0.6890 0.1851
Mo: 0.3110 0.3110 0.8149

Calculated values
SG: C2/m (12)
Energy of formation: -226 meV per atom



(3)
Entry from the Materials Project: a geometry-optimized Ag7NO8 structure (PBE-GGA).

Lattice parameters (Å, degrees): 7.0853 7.0853 7.0853 60.00 60.00 60.00
Atoms (fractional coordinates):
Ag: 0.0000 0.0000 0.0000
Ag: 0.7184 0.2816 0.2816
Ag: 0.7184 0.7184 0.2816
Ag: 0.2816 0.7184 0.2816
Ag: 0.2816 0.2816 0.7184
Ag: 0.7184 0.2816 0.7184
Ag: 0.2816 0.7184 0.7184
N: 0.5000 0.5000 0.5000
O: 0.1310 0.1310 0.6069
O: 0.1310 0.6069 0.1310
O: 0.6069 0.1310 0.1310
O: 0.1310 0.1310 0.1310
O: 0.8690 0.8690 0.3931
*/

Stomach pain and gas, combined with a feeling of fullness, are also common after a gastroscopy. However, these symptoms usually go away within a few hours.

Stomach pain and gas with nausea

Stomach pain, flatulence and nausea can occur together in different diseases. These complaints are not uncommon Food intolerance or after eating something bad beforehand. Common foods that are not well tolerated are milk and the lactose, fructose and gluten contained in it, a protein in different types of wheat. Also one caused by viruses Gastrointestinal infection can be the cause. In all of these cases, symptoms usually subside within a few hours or days.

Nausea in pregnancy is not uncommon. Sometimes this can also occur in combination with stomach pain and gas. This is normal and usually has no dangerous consequences. Only if vomiting is frequent, care should be taken to supply the body with enough fluids and nutrients.

┌──
{"formula": "Na7Mg3TaSi3S3O24", "functional": "GGA-PBE", "state": "optimized geometry", "cell": [[9.094, -0.030, -0.038], [-4.573, 7.890, 0.025], [-0.099, 0.018, 22.238]], "species": ["Na", "Na", "Na", "Na", "Na", "Na", "Na", "Na", "Na", "Na", "Na", "Na", "Na", "Na", "Na", "Na", "Na", "Na", "Na", "Na", "Na", "Si", "Si", "Si", "Si", "Si", "Si", "Si", "Si", "Si", "O", "O", "O", "O", "O", "O", "O", "O", "O", "O", "O", "O", "O", "O", "O", "O", "O", "O", "O", "O", "O", "O", "O", "O", "O", "O", "O", "O", "O", "O", "O", "O", "O", "O", "O", "O", "O", "O", "O", "O", "O", "O", "O", "O", "O", "O", "O", "O", "O", "O", "O", "O", "O", "O", "O", "O", "O", "O", "O", "O", "O", "O", "O", "O", "O", "O", "O", "O", "O", "O", "O", "O", "Ta", "Ta", "Ta", "S", "S", "S", "S", "S", "S", "S", "S", "S", "Mg", "Mg", "Mg", "Mg", "Mg", "Mg", "Mg", "Mg", "Mg"], "frac_coords": [[0.024, 0.320, 0.081], [0.310, 0.969, 0.093], [0.654, 0.344, 0.333], [0.360, 0.015, 0.750], [0.980, 0.345, 0.751], [0.634, 0.002, 0.237], [0.038, 0.709, 0.588], [0.665, 0.639, 0.752], [0.015, 0.001, 0.494], [0.667, 0.339, 0.820], [0.973, 0.989, 0.990], [0.710, 0.658, 0.408], [0.982, 0.312, 0.421], [0.329, 0.667, 0.668], [0.989, 0.658, 0.251], [0.293, 0.329, 0.588], [0.359, 0.694, 0.165], [0.315, 0.037, 0.413], [0.381, 0.351, 0.255], [0.673, 0.969, 0.595], [0.668, 0.723, 0.081], [0.640, 0.677, 0.922], [0.709, 0.005, 0.748], [0.297, 0.001, 0.249], [0.290, 0.286, 0.750], [0.003, 0.704, 0.749], [0.327, 0.363, 0.421], [0.668, 0.039, 0.086], [0.035, 0.666, 0.422], [0.702, 0.703, 0.250], [0.861, 0.328, 0.243], [0.464, 0.141, 0.526], [0.976, 0.178, 0.583], [0.316, 0.863, 0.974], [0.486, 0.332, 0.743], [0.683, 0.516, 0.243], [0.513, 0.827, 0.761], [0.469, 0.315, 0.030], [0.203, 0.165, 0.806], [0.664, 0.155, 0.740], [0.646, 0.131, 0.144], [0.151, 0.184, 0.411], [0.215, 0.036, 0.308], [0.812, 0.792, 0.310], [0.477, 0.126, 0.635], [0.826, 0.834, 0.913], [0.547, 0.680, 0.983], [0.125, 0.633, 0.075], [0.632, 0.123, 0.421], [0.178, 0.957, 0.188], [0.178, 0.230, 0.687], [0.022, 0.209, 0.916], [0.492, 0.160, 0.246], [0.846, 0.510, 0.741], [0.685, 0.171, 0.028], [0.880, 0.521, 0.137], [0.978, 0.193, 0.304], [0.307, 0.482, 0.761], [0.158, 0.705, 0.479], [0.363, 0.868, 0.579], [0.122, 0.484, 0.867], [0.209, 0.173, 0.085], [0.061, 0.818, 0.687], [0.824, 0.803, 0.584], [0.345, 0.478, 0.076], [0.359, 0.880, 0.866], [0.313, 0.822, 0.258], [0.191, 0.991, 0.914], [0.497, 0.346, 0.418], [0.844, 0.030, 0.083], [0.512, 0.869, 0.363], [0.007, 0.827, 0.414], [0.794, 0.980, 0.410], [0.857, 0.316, 0.526], [0.354, 0.497, 0.362], [0.507, 0.645, 0.864], [0.856, 0.485, 0.418], [0.306, 0.454, 0.480], [0.503, 0.676, 0.259], [0.132, 0.489, 0.580], [0.137, 0.466, 0.976], [0.035, 0.222, 0.196], [0.494, 0.853, 0.080], [0.145, 0.648, 0.362], [0.546, 0.851, 0.472], [0.204, 0.021, 0.581], [0.764, 0.944, 0.688], [0.647, 0.490, 0.927], [0.514, 0.653, 0.578], [0.766, 0.820, 0.189], [0.683, 0.546, 0.527], [0.865, 0.361, 0.924], [0.842, 0.526, 0.029], [0.646, 0.528, 0.635], [0.498, 0.136, 0.924], [0.176, 0.687, 0.766], [0.480, 0.365, 0.137], [0.872, 0.347, 0.635], [0.164, 0.471, 0.256], [0.957, 0.789, 0.802], [0.835, 0.049, 0.804], [0.974, 0.789, 0.082], [0.330, 0.663, 0.316], [0.346, 0.662, 0.812], [0.668, 0.328, 0.975], [0.377, 0.040, 0.581], [0.331, 0.958, 0.919], [0.667, 0.631, 0.581], [0.003, 0.296, 0.250], [0.045, 0.378, 0.921], [0.957, 0.619, 0.082], [0.375, 0.333, 0.082], [0.958, 0.332, 0.582], [0.624, 0.957, 0.419], [0.009, 0.988, 0.351], [0.998, 0.995, 0.668], [0.656, 0.326, 0.187], [0.666, 0.343, 0.478], [0.985, 0.985, 0.153], [0.324, 0.657, 0.513], [0.986, 0.986, 0.845], [0.355, 0.683, 0.014], [0.664, 0.334, 0.689]], "sg": "No. 1"}
└──
## End of the records of crystals

Many patients with a so-called Irritable bowel syndrome show this combination of symptoms. The symptoms usually appear about 10 minutes to an hour after eating and improve after a bowel movement. The triggers for irritable bowel syndrome are not yet known, but the psyche and stress seem to play an important role. Treatment is complex due to the unknown causes and should be discussed with a doctor.

Other possible causes of stomach pain, gas, and nausea are one Inflammation of the stomach lining, various Cancers, hormonal disorders or blocked vessels in the gastrointestinal area. They should be clarified in particular if the symptoms appeared very quickly, are very severe or have lasted for weeks or months.

Stomach pain and gas with back pain

Back pain can, albeit rarely, occur in all painful diseases of the stomach such as the Inflammation of the stomach lining occur. Along with pain in the stomach and flanks, back pain typically occurs in one acute inflammation of the pancreas on. Stool irregularities or flatulence can often be observed because digestion is impaired by the lack of digestive juices.

If the back pain and stomach pain came on suddenly, very severe and slowly moving downwards, there should be a possibility Abdominal artery disease and go to hospital immediately.
Back and stomach pain as well as flatulence are among the most common complaints for us - they often occur side by side without being causally related.

Read more on this topic under: Abdominal pain and back pain

Stomach pain and gas with heartburn

Under heartburn is understood as a pain behind the sternum that often rises from the upper abdomen to the throat or throat. Heartburn is called burning felt and often arises due to excessive reflux of stomach acid into the esophagus as part of reflux disease. Flatulence is usually not caused by this condition.

In addition to causing stomach and chest pain, heartburn can lead to long-term ulcers or cancer of the esophagus. Therefore, frequent heartburn should definitely be presented to a doctor. Most of the time, the disease can easily be caused by a Change in eating habits and taking an acid-blocking drug.


The therapy of stomach pain and / or flatulence depends entirely on the root cause. If these are harmless and based, for example, on diet or stress, antispasmodic (Antispasmodics how Butylscopalamine), analgesic, and inflating (Fennel tea) Means as well Medicationwhich inhibit acid formation in the stomach (Proton pump inhibitors how Omeprazole), definitely help. Also warmth, Relaxation and gently massaging the abdomen clockwise can be helpful.
Home remedies (Home remedies for stomach pain) can also help alleviate symptoms when treating stomach pain without a serious cause.

You can find further information under our topic: Anti-flatulence drugs.

However, if the stomach pain and flatulence are an expression of an underlying disease, this should be treated first (e.g. therapy inflammatory bowel disease, possible discontinuation of irritating / harmful medication, Administration of antibiotics at Gastrointestinal infections Etc.).


To avoid stomach pain and flatulence, affected patients can take care of a few things themselves to prevent unnecessary discomfort. A healthy, balanced, low-irritation nutrition (moderate amounts, not too fatty or too spicy, etc.), a reduction in the intake of flatulent foods (legumes, cabbage, onions) and the avoidance of alcohol and nicotine, can help in many cases. Attention should also be paid to eating more slowly, chewing food well and consuming smaller portions.

In addition, drinking enough water throughout the day and exercising regularly reduce the risk of stomach pain and gas. If there are food intolerances, the "alpha and omega" is to absolutely avoid the foods that cause the symptoms (Lactose, gluten, Fructose). Going to a nutritionist can help and make it much easier to integrate the intolerance disease into everyday life. are mental stress (Stress, anger, sadness, fear) the trigger for permanent gastrointestinal complaints, relaxing measures like autogenic training or even possibly one psychological therapy noticeably relieve symptoms.

Stomach pain and gas during pregnancy

Stomach pain and gas in pregnancy are frequently. The change in hormones slows down digestion in the stomach and intestines even in early pregnancy. This leads to increased gas build-up and sometimes stomach pain.
If the child grows, the stomach is compressed and the pain is increased. In particular, large meals and gasifying foods like Brussels sprouts, beans, or broccoli can cause pain and gas during pregnancy. Symptoms usually stop when the pregnancy ends. In order to overcome the time until birth, for example, small instead of a few large meals can often be eaten and more exercise can be incorporated into everyday life.

Stomach pain and gas after eating

If abdominal pain and flatulence occur after eating, this can indicate a number of diseases. Pain that occurs immediately after eating can be signs of gas regardless of gas Gastric ulcer be. If this disease is suspected, a Consulted a doctor in order to initiate appropriate therapy and to rule out that there are no other diseases behind the symptoms. Epigastric pain several hours after eating is common with duodenal ulcer and is treated like gastric ulcer. If the symptoms occur especially after consuming sweet or sour food, alcohol or coffee, a Reflux disease exist.

Flatulence and Abdominal pain after eating can, especially if they occur together, indicate a Food intolerance be. Common foods that cause such symptoms are milk or milk sugar, fructose, gluten, or histamine.

A progressive vascular occlusion in the gastrointestinal area manifests itself in pain, and sometimes gas, after ingestion. Severe, sudden pain after eating very fatty foods is typical of biliary colic.Biliary colic pain is mostly localized in the right upper abdomen, but it can also project onto the stomach. If the suspicion is obvious, a doctor should be consulted as soon as possible.

Very severe pain in the epigastric region after a large meal and a lot of alcohol consumption can also be caused by a Inflammation of the pancreas caused.